## Excerpt
Record 1
Material: La4DyC10
Method: DFT, PBE
State: optimized geometry

Lattice parameters (Å, degrees): 14.054 13.950 4.277 82.59 79.85 17.57
Element x y z (fractional)
La 0.099 0.099 0.901
La 0.300 0.300 0.700
La 0.700 0.700 0.300
La 0.901 0.901 0.099
Dy 0.500 0.500 0.500
C 0.100 0.300 0.700
C 0.100 0.900 0.100
C 0.300 0.100 0.900
C 0.303 0.502 0.498
C 0.498 0.697 0.303
C 0.502 0.303 0.697
C 0.697 0.498 0.502
C 0.700 0.900 0.100
C 0.900 0.100 0.900
C 0.900 0.700 0.300

## Properties
uncorrected energy	-7.9155	eV per atom
formation energy from the elements	-0.140	eV per atom
symmetry	Fmmm (69)

Record 2
Material: Li2DyPCO7
Method: DFT, PBE
State: optimized geometry

Lattice parameters (Å, degrees): 4.923 6.763 9.140 90.00 93.36 90.00
Element x y z (fractional)
Li 0.200 0.018 0.301
Li 0.200 0.482 0.301
Li 0.800 0.518 0.699
Li 0.800 0.982 0.699
Dy 0.262 0.250 0.866
Dy 0.738 0.750 0.134
P 0.272 0.750 0.905
P 0.728 0.250 0.095
C 0.258 0.250 0.565
C 0.742 0.750 0.435
O 0.027 0.250 0.629
O 0.137 0.564 0.835
O 0.137 0.936 0.835
O 0.239 0.750 0.076
O 0.270 0.250 0.426
O 0.415 0.250 0.110
O 0.479 0.250 0.654
O 0.521 0.750 0.346
O 0.585 0.750 0.890
O 0.730 0.750 0.574
O 0.761 0.250 0.924
O 0.863 0.064 0.165
O 0.863 0.436 0.165
O 0.973 0.750 0.371

## Properties
uncorrected energy	-7.1907	eV per atom
MP2020-corrected energy	-7.5914	eV/atom
formation energy from the elements	-2.783	eV per atom
symmetry	P2_1/m (11)

Record 3
Material: Dy11Mn12C18
Method: DFT, PBE
State: optimized geometry

Lattice parameters (Å, degrees): 8.784 8.784 8.784 109.47 109.47 109.47
Element x y z (fractional)
Dy 0.000 0.000 0.000
Dy 0.000 0.000 0.589
Dy 0.000 0.589 0.000
Dy 0.250 0.500 0.750
Dy 0.250 0.750 0.500
Dy 0.411 0.411 0.411
Dy 0.500 0.250 0.750
Dy 0.500 0.750 0.250
Dy 0.589 0.000 0.000
Dy 0.750 0.250 0.500
Dy 0.750 0.500 0.250
Mn 0.000 0.184 0.340
Mn 0.000 0.340 0.184
Mn 0.156 0.816 0.816
Mn 0.184 0.000 0.340
Mn 0.184 0.340 0.000
Mn 0.340 0.000 0.184
Mn 0.340 0.184 0.000
Mn 0.660 0.660 0.844
Mn 0.660 0.844 0.660
Mn 0.816 0.156 0.816
Mn 0.816 0.816 0.156
Mn 0.844 0.660 0.660
C 0.000 0.296 0.781
C 0.000 0.432 0.432
C 0.000 0.568 0.568
C 0.000 0.781 0.296
C 0.219 0.219 0.515
C 0.219 0.515 0.219
C 0.296 0.000 0.781
C 0.296 0.781 0.000
C 0.432 0.000 0.432
C 0.432 0.432 0.000
C 0.485 0.704 0.704
C 0.515 0.219 0.219
C 0.568 0.000 0.568
C 0.568 0.568 0.000
C 0.704 0.485 0.704
C 0.704 0.704 0.485
C 0.781 0.000 0.296
C 0.781 0.296 0.000

## Properties
uncorrected energy	-8.3091	eV per atom
formation energy from the elements	-0.340	eV per atom
symmetry	I-43m (217)

- Look up the formation energy from the elements of the third one.
  -0.340 eV per atom

- Number 2 is which compound?
  Li2DyPCO7

## Activity
Work out how many lines above have the word "atom" in them; a number is enough, please.

## Solution
8